12 Secrets of Highly Creative Women: A Portable Mentor
Gail McMeekin
-- Someone pasted records of crystals at this point --
<<<
1.
Crystalline Ho3TmS4 at its relaxed geometry. Source: Alexandria, functional PBE.

a b c (Å): 5.478 5.478 5.478
angles (deg): 90.00 90.00 90.00
Space group Pm-3m (No. 221)
Symmetry-distinct sites (fractional):
1 Ho 0.000 0.000 0.500 [3 per cell]
2 Tm 0.500 0.500 0.500 [1 per cell]
3 S 0.000 0.000 0.000 [1 per cell]
4 S 0.000 0.500 0.500 [3 per cell]

Summary:
**Formation energy from raw total energies**: -1950 meV/atom
**DFT total energy**: -50.3 eV/cell
**ΔE to the lowest computed polymorph**: 10.1 meV per atom



2.
Crystalline Ho6Tm2S3 at its relaxed geometry. Source: Alexandria, functional PBE.

a b c (Å): 3.7104 3.7104 72.6393
angles (deg): 90.00 90.00 120.00
Space group R-3m (No. 166, hexagonal axes)
Symmetry-distinct sites (fractional):
1 Ho 0.0000 0.0000 0.0694 [6 per cell]
2 Ho 0.0000 0.0000 0.1858 [6 per cell]
3 Ho 0.0000 0.0000 0.3570 [6 per cell]
4 Tm 0.0000 0.0000 0.4421 [6 per cell]
5 S 0.0000 0.0000 0.0000 [3 per cell]
6 S 0.0000 0.0000 0.2872 [6 per cell]

Summary:
**Formation energy from raw total energies**: -1027 meV/atom
**DFT total energy**: -180.3 eV/cell

* * * * *

The following is a DFT calculation (meta-GGA SCAN) of WCl4 at its PBEsol-relaxed geometry.

Cell lengths 6.397, 6.822, 7.029 Å; angles 73.03, 62.93, 62.04 degrees
Sites, in units of the cell vectors:
W (0.206, 0.000, 0.000)
W (0.794, 0.000, 0.000)
Cl (0.322, 0.202, 0.154)
Cl (0.787, 0.242, 0.185)
Cl (0.217, 0.747, 0.295)
Cl (0.741, 0.747, 0.295)
Cl (0.259, 0.253, 0.705)
Cl (0.783, 0.253, 0.705)
Cl (0.213, 0.758, 0.815)
Cl (0.678, 0.798, 0.846)

Symmetry: C2/m, No. 12
Calculated total energy, eV per atom: -21.22
M_tot, μB per cell: 0.00
Energy relative to the elements, uncorrected, meV/atom: -904
Volume, Å³/f.u.: 120

* * * * *

U2SiC: relaxed, PBE-GGA.

Cell: 3.9128 3.9128 5.6504 Å, 69.74 69.74 60.00°
Fractional positions:
U 0.7759 0.7759 0.6723
C 0.5000 0.5000 0.5000
U 0.2241 0.2241 0.3277
Si 0.0000 0.0000 0.0000

Computed properties:
Formation energy without anion corrections   0.05 eV/atom
Calculated total energy   -37.016 eV per cell
Crystal system   trigonal
DOS at the Fermi energy   6.35 states/eV/cell



U6Si2C: relaxed, PBE-GGA.

Cell: 7.5444 5.0811 5.0812 Å, 120.82 89.51 89.51°
Site moments in Bohr magnetons follow the coordinates.
Fractional positions:
Si 0.5000 0.7511 0.2489  -0.01
Si 0.5000 0.2489 0.7510  -0.01
U 0.2862 0.7553 0.7553  0.90
U 0.8319 0.5719 0.8956  0.32
U 0.1681 0.1044 0.4282  0.32
U 0.7138 0.2447 0.2447  0.90
U 0.8319 0.8956 0.5718  0.32
C 0.0000 0.0000 0.0000  -0.02
U 0.1681 0.4281 0.1044  0.32

Computed properties:
Formation energy without anion corrections   0.00 eV/atom
Calculated total energy   -87.773 eV per cell
Crystal system   monoclinic
DOS at the Fermi energy   21.49 states/eV/cell



Zr2USiC4: relaxed, PBE-GGA.

Cell: 3.3055 5.7873 11.3636 Å, 90.00 90.00 106.59°
Site moments in Bohr magnetons follow the coordinates.
Fractional positions:
C 0.7294 0.4588 0.8725  -0.03
Zr 0.6325 0.2649 0.4535  0.01
>>>
Conari Press (2001)
Note: I recently re-read this book while formulating questions for an interview of its author, Gail McMeekin. If anything, her insights offer even greater value now than they did years ago when the book was first published.
This is another of several excellent books in which an author has assembled what she or he has learned from a number of different in-depth interviews. In effect, the reader is given direct access to the thoughts, feelings, and experiences of persons who may otherwise be inaccessible. McMeekin interviewed 45 “highly creative women” whose responses reveal 12 “secrets” which, in fact, are affirmations of basic values which most of us have been encouraged to embrace by caring parents and other relatives, teachers, coaches, clergy, etc. My own opinion is that these same values would also be affirmed by highly creative men.
McMeekin organizes her material within a series of three “Gateways” (ie rights of passage): Engaging Your Creativity, Mastering Your Challenges as a Creative Woman, and Actualizing Creative Results: The Power of Positive Priorities. She suggests that certain lessons can be learned from “a myriad of practices called Challenges.” It takes courage (sometimes great courage) to confront such challenges. Hence the importance of the “lessons.” McMeekin suggests that a “fabulous notebook, a gorgeous notebook” be purchased in which to record responses to all of the Challenges included in her book. She further suggests that the 12 Secrets be applied during each week or each month of the year.
Prior to reading a book, it is my standard procedure first to check out its title and subtitle, its Table of Contents, and then its Introduction or Preface. Frankly, I had some apprehensions after doing so with this book. How does McMeekin define “creative”? Written for and about women, will the book have any relevance to me and other males? Also frankly, by now I have become skeptical (if not cynical) about references to “secrets.” Nonetheless, I began to read her “Note to the Reader” and then the 12 chapters which follow. Those interviewed provide a diverse and abundant range of personal experiences which both suggest and corroborate McMeekin’s key points. Now having read the book, I can add affirmation of my own: This is one of the most thoughtful and thought-provoking books on human fulfillment which I have read in recent years. Who will derive the great benefit from it? My response is: Those (regardless of their gender and circumstance) who are accessible to what the 45 “highly creative women” were willing to share, those who possess the courage to take on the Challenges, and finally, those who are both willing and able to learn from the Secrets and then apply the Lessons.
Centuries ago, John Bunyan’s Pilgrim embarked on a perilous journey. He was sustained by his faith and eventually prevailed. McMeekin seems to be suggesting that, in our own time, an equally perilous journey must be made. There are Gateways through which we must pass, meanwhile overcoming various Challenges. The 45 women whom McMeekin interviewed (most of them unfamiliar to me) were “highly creative” during their own personal and perilous journeys. They are modern-day Pilgrims who prevailed. McMeekin seems totally convinced that each of her readers can do so also if having the same faith and the same courage. I agree. If you share my high regard for this book, I urge you to check out Ellie Wymard’s Conversations with Uncommon Women. Obvious to me, both she and McMeekin are uncommon human beings.
Note: Gail McMeekin’s subsequent books are The Power of Positive Choices: Adding and Subtracting Your Way to a Great Life (2001) and then The 12 Secrets of Highly Successful Women: A Portable Life Coach for Creative Women (2011); her next book, The 12 Secrets of Highly Creative Women Journal, will be published in November, 2011.